I am making a liquid filling mechine. Basicly it works like User set a target value in kg. When pedal is triggered 2 channel relay card activates and pump stars and valve opens the nozul. When measurement hits the target value accordibg to loadcell measurement relays closes. Circut schema is below:
My problem is when the pump is turned off by the relay. Arduino reset itself. But my relay card already has a diot in it. When i disconnect the pump every thing works smoothly. What could be the problem.
Sounds to me like you're operating both valve and pump at the same time. What about your valve? Is it diode-protected (it depends, of course, on the nature of the power to the valve, which you've not told us. 115V AC, 24VDC, ???)?
Valve is 24Vac but i tested it stand alone valve does not causes this. It was causing at first but whne i change with a new one it worked fine. Pump is 220VAC 1A.
If the 220V and 24V AC wires are intermingled with your digital signals, it's very likely the transient 'snap' when your relays open is being propagated into your Arduino via 5V, GND, or signal wires. It's best to keep the higher voltage stuff strictly segregated from the low voltage circuits. Certainly, without doing that, adding suppression will be iffy.
At this point, sounds to me like rats-nest wiring issues - please post a photo of your apparatus, showing the internals.
On top left side lcd screen arduino and hx711 is in it. Only electronic is in the desk with the electronic part is relay. Relays, pedal and loadcell is connected to screen with the isolated cables.
What signals are shielded, or unshielded? It's hard to tell what is where in that photo. A full schematic might be useful at this point, showing power, etc. A layout drawing showing locations, feedthroughs, etc. might also help.
Remember, we're not able to look over your shoulder, or look at your apparatus from a different angle, or open a panel, or in any other way learn anything you don't tell us.
You need to power the relays from an external power source, the Arduino is not a Power Supply. The LCD etc are OK. You are much better switching ground not the +5, this would require you to change your input interface. Consider shielding all external wires and put a snubber across the relay contacts. How is the system powered? Using the appropriate solid state relays would help a lot. Zero crossing for the AC. NOTE: AC and DC relays are different.
Your pictorial is missing a lot of detail. All signal wires should cross any current carrying conductor at a right angle. Remember any wire connected to the Arduino is an antenna hungry for electrical noise. This should get you started.
I am using 220v 10 amper pedal on arduino connected to 3.3v and pin13 to start relays. Can this cause the restart? But i waas using this before and seemed ok to me.
The text is interrupted by data records >
<<<
The following is a DFT calculation (wB97M-V/def2-TZVPD) of a structure of composition C40H44ClMoN5O5Si at a distorted geometry.

Highest occupied orbital energy (alpha / beta) ... -6.2 / -8.2 eV
LUMO (alpha / beta) ... -0.46 / -0.66 eV
Energy ... -3018.493613 Ha
2S+1 ... 3

CARTESIAN COORDINATES (ANGSTROEM)
H: 0.88 -6.33 0.06
H: 2.01 -5.16 -0.48
H: 2.20 0.39 -0.66
H: -4.87 -4.02 4.62
H: -0.14 3.53 -0.63
C: -0.40 -4.78 3.23
H: 0.84 8.67 0.11
C: -0.05 5.43 0.17
H: -3.09 -1.23 1.88
C: -2.78 4.25 -4.81
C: 1.20 0.50 -1.07
C: -0.06 -3.50 -2.74
H: 3.02 -6.69 3.50
H: 5.40 0.80 3.36
C: 0.88 -6.83 3.53
H: -3.35 3.30 -4.63
H: 0.90 -3.00 -2.75
C: -2.80 -4.40 4.08
C: 0.06 6.71 -0.31
H: -1.61 5.56 -2.33
C: 0.66 7.67 0.46
H: -2.35 2.14 -2.47
C: 0.58 5.08 1.36
C: -1.96 -5.23 -1.14
C: -3.06 -2.20 2.39
H: 0.23 5.77 -4.65
H: -0.13 -4.14 -3.63
C: -0.85 0.09 -1.60
C: -1.45 4.56 -1.93
C: 4.52 0.32 2.95
C: -1.73 -4.11 3.22
N: 1.05 -2.69 3.00
H: 0.42 3.16 -5.50
H: 2.03 -2.56 3.21
H: 2.97 -4.34 2.62
C: 1.13 -5.75 -0.79
N: 0.79 1.51 -1.79
C: 1.26 6.06 2.09
O: 0.50 3.67 -3.17
C: 4.61 -0.64 1.98
H: -2.12 -5.98 -1.94
O: 2.21 -2.72 0.06
H: 1.43 -6.43 -1.69
H: -2.73 -5.23 4.77
H: -1.17 5.79 -5.84
H: -2.96 4.45 -5.89
H: 0.90 2.98 -2.57
N: -0.55 1.27 -2.09
H: -1.40 1.70 -3.95
H: -5.06 -2.01 3.21
C: 1.39 7.38 1.60
C: 0.70 0.68 2.81
C: 2.06 -4.84 2.94
C: 2.07 -6.15 3.38
H: 0.69 4.04 1.61
N: 0.18 -0.35 -0.84
C: -0.85 5.63 -4.79
C: -4.01 -3.68 4.06
Cl: 2.45 8.57 2.26
H: -0.84 -2.75 -2.76
H: -1.23 -6.80 3.45
H: -0.86 3.80 -6.58
C: -0.90 3.66 -3.06
H: 1.93 5.77 2.89
C: -1.38 2.13 -2.93
C: 3.22 0.76 3.30
C: -0.69 3.35 -5.60
H: -1.79 -0.30 -1.72
H: 0.81 -7.95 3.65
H: -2.55 4.28 -1.85
C: 2.10 0.26 2.63
H: -1.09 2.35 -5.74
H: -2.75 -4.48 -1.24
C: -0.37 -3.35 0.27
N: 2.26 -0.70 1.65
>>>
Probably not, they do not have dry contacts, you need to switch current to keep the contacts clean. It will work for a while but when the contacts oxidize it will go intermittent then quit.